Leadership 5, It Takes Ten Hands to Make a Basket (Bot9 #143)


"It Takes 10 Hands to Make a Basket" John Wooden's Leadership Lesson #5 by Keith Wahl

John Wooden wrote 12 Leadership Lessons that enhance our understandings of leadership and success. These 12 lessons will be the focus of Bottom of the Ninth for 12 weeks.

Do you ever wonder what John Wooden would think of the modern NBA? While I tend to believe that he would have a level of frustration around the abundance of individual play and ego, I also think he would revel in the best "teams" winning championships. The Spurs, the Warriors, and even the Bulls of the 1990s represented this ideal of team play, and showed that it does take 10 hands to make a basket.

No. 1
Computed, not measured: C33H43BIN12O2STl as an isolated structure at a distorted geometry, with ωB97M-V/def2-TZVPD.

Properties
Energy above the lowest of the compared OMol25 structures with the same formula, charge and spin = 205.6 kJ/mol
E_HOMO = -1.621 eV
Maximum force = 4.17 eV/Å
Orbital gap = 4.9538 eV
Net charge = -2
Calculated total energy = -81202.642 eV
Lowest unoccupied orbital energy = 3.333 eV

Geometry (Å):
C -0.10999 -1.72840 3.20248
H 5.22377 -2.15937 -1.51633
N 2.12428 2.57714 -1.54481
H -0.10051 -2.23812 1.11299
H 0.20359 -3.45499 -0.45406
N 3.84303 0.59493 0.06063
H 3.50189 2.14826 -3.03226
H -0.67721 3.81682 0.90592
H 1.83291 -1.18626 -3.18833
N 4.78654 0.09636 -3.31216
H 6.16332 0.21654 2.55364
C 2.24146 -1.39200 2.34425
C -5.35066 -2.83935 3.56625
H -1.90534 2.91830 -1.31758
C 2.59444 2.63086 -2.78582
H -3.39095 2.46648 -0.84436
C 2.97210 0.02838 -4.59229
H 2.13061 -5.48301 -0.03375
C -1.73250 3.87299 1.30590
H 1.24771 -4.17051 4.20360
H -4.08401 0.13783 2.46701
C -4.13128 -0.91426 2.76064
C -2.70439 4.18837 0.20065
S -1.60549 -3.89185 1.98243
C -2.46017 2.51728 -4.29253
N 4.45230 -0.61095 -0.17898
B 4.25754 -1.48889 -1.40672
C 5.41639 0.21476 1.74321
C 1.55969 -3.59900 3.33722
H 4.83709 1.16094 -5.13117
H -3.16284 2.84135 2.32867
C -4.25996 -3.65539 3.15599
H -6.26731 -3.29697 3.81581
H -5.60733 1.12345 -4.10302
H -4.35688 2.89948 -5.31816
H -0.14771 0.71841 1.77677
H -1.85210 3.29858 -4.74340
H -1.73088 4.63229 2.11037
H 2.26005 0.34527 -5.39734
N 1.83233 -2.31850 -0.95005
C -3.78646 2.27581 -4.61660
N -2.44361 0.55088 -2.92749
H 3.22077 -1.08906 2.69349
C 2.30935 -4.42160 -0.19055
C -5.25684 -1.47427 3.31467
H 2.55521 2.00514 -0.85452
H -2.38748 1.79378 1.20130
C -1.80934 1.57714 -3.51702
H 2.63097 -3.79218 3.27728
H 0.68784 2.09643 2.09141
N -2.79724 3.27359 -0.96081
I 1.68259 4.02832 -5.38695
C 3.47378 -3.79598 -0.58471
O -5.66234 -0.83657 -2.77980
C 4.29982 0.46793 -4.47215
H -0.63155 -2.06816 4.10069
H -0.30173 4.32303 -2.50966
H -0.16619 -0.68340 3.29907
H 4.03101 2.04653 1.57205
C 2.75158 -0.75854 -3.50887
C 0.59867 3.74943 -2.42154
C -1.24308 2.05620 3.00286
N 3.86807 -0.64623 -2.66327
C -3.75390 0.37143 -3.10226
H -0.95285 2.84503 3.65901
N 0.97365 3.16228 -1.26729
H -3.69230 4.27705 0.62734
C -2.16076 2.59471 1.91995
H 4.53564 -4.12062 -0.54912
H 5.88388 -1.69736 0.82608
N -0.01607 1.43049 2.48099
H -4.16372 -4.73957 3.41756
C -3.04261 -1.72761 2.34122
C -0.82698 -2.15506 1.92410
C 1.30969 -3.47925 -0.55506
C -4.48180 1.22461 -3.99901
C 4.43014 1.09392 1.20468
H -1.77805 1.32648 3.59665
H 1.92833 -0.45163 1.86646
C 5.31964 -0.84932 0.83650
H -0.76320 1.51805 -3.42225
H -6.07357 -0.75562 3.44094
H 1.53801 -1.72912 4.39916
Tl -1.59874 -1.37576 -0.81790
N -1.96866 -1.21790 1.68113
C -4.51108 -0.68057 -2.31501
C 1.37056 -2.06172 3.38844
N 3.18629 -2.54450 -1.03846
H 1.16209 -4.08007 2.40012
H 2.51813 -2.08056 1.53310
C -3.12526 -3.08757 2.58334
O -3.94669 -1.33750 -1.38123
C 1.62782 3.49418 -3.41648
# End of the calculated molecules

Baseball is different. You don't need 18 hands to make an out or score a run. Only two men touch the ball on every play - the pitcher and the catcher. A famous film battery of pitcher and catcher, Nuke Laloosh and Crash Davis from Bull Durham, tapped into the importance of including others in their work when Crash said, "Don't try to strike everybody out. Strikeouts are boring! Besides that, they're fascist. Throw some ground balls - it's more democratic." You have to love how the movie infuses a lesson of government into a baseball movie!

As baseball players, we have to be at peace with the individual nature of the game while sharing the experiences with the team. Sometimes our successes and failures are to be shared with the collective group. Other times we have to learn how to humbly accept individual success while the team failed. Often times, however, we have to embrace individual failure in the face of team success. This balance either makes baseball the ultimate team sport, or the ultimate individual sport where 25 guys happen to be playing it at the same time.

Anyone who has been a part of successful or unsuccessful baseball teams recognize the importance of chemistry. This is one of the great and beautiful nuances of the game. The team of individuals must work in concert together to reach the collective group's full potential. It's ugly when it fails (see the picture of Bryce Harper and Jon Papelbon below), and the ultimate beauty when it succeeds.

In the midst of a difficult chemistry battle with our team last spring, one of our baseball parents, Pastor Randy Scott, wrote on how selfishness can destroy a team and one's self in this Bottom of the Ninth. Satan wants individuals not teams. His conclusion was "To the degree that you live for yourself is the degree with which you are filled with the spirit of Satan." This makes baseball the most spiritual of athletic endeavors - an individual's opportunity to live for others instead of one's self.

We all love playing or coaching or watching the game of baseball. May we all commit this season to a team focus above an individual focus. May we, as coaches, foster an environment of team play over individual play. Let us all experience the beauty of having everyone's hands contribute to the team's success.


Leadership 6, Little Things Make Big Things Happen (Bot9 #144)


Leadership 4, Emotion is Your Enemy (Bot9 #142)